President Charles Michel speaks at the extraordinary summit of the Organisation of African, Caribbean and Pacific States

Misplaced data records.
┌──
Mg14VW: optimized geometry, GGA-PBE.

Cell: 6.2740 6.0979 10.0127 Å, 90.00 90.00 119.08°
Last column: nearest neighbours and their distance in Å.
Atoms (fractional coordinates):
Mg: 0.1676 0.3338 0.6250  12 Mg 3.05-3.17
Mg: 0.1663 0.8332 0.6250  12 Mg 3.05-3.15
Mg: 0.6640 0.3322 0.1250  8 Mg 3.01-3.06, 2 W 3.10-3.17, 2 V 3.13-3.14
Mg: 0.6637 0.3324 0.6250  12 Mg 3.04-3.21
Mg: 0.6640 0.8318 0.1250  8 Mg 3.01-3.06, 2 W 3.10-3.17, 2 V 3.13-3.14
Mg: 0.6637 0.8313 0.6250  12 Mg 3.04-3.21
Mg: 0.3271 0.1598 0.3623  1 W 2.96, 1 V 2.97, 10 Mg 3.00-3.25
Mg: 0.3271 0.1598 0.8877  1 W 2.96, 1 V 2.97, 10 Mg 3.00-3.25
Mg: 0.3271 0.6672 0.3623  1 W 2.96, 1 V 2.97, 10 Mg 3.00-3.25
Mg: 0.3271 0.6672 0.8877  1 W 2.96, 1 V 2.97, 10 Mg 3.00-3.25
Mg: 0.8438 0.1719 0.3714  1 V 3.02, 11 Mg 3.05-3.21
Mg: 0.8438 0.1719 0.8786  1 V 3.02, 11 Mg 3.05-3.21
Mg: 0.8477 0.6738 0.3668  1 W 2.96, 11 Mg 3.03-3.25
Mg: 0.8477 0.6738 0.8832  1 W 2.96, 11 Mg 3.03-3.25
V: 0.1628 0.3314 0.1250  10 Mg 2.97-3.14, 2 W 3.05
W: 0.1566 0.8283 0.1250  10 Mg 2.96-3.17, 2 V 3.05

Output
- Excess energy over the best structure of this formula in the dataset: 0.0 meV/atom
- ΔH_f (0 K): 0.1981 eV per atom

***

Mg6VW: optimized geometry, GGA-PBE.

Cell: 6.1539 6.1539 4.9132 Å, 90.00 90.00 123.69°
Last column: nearest neighbours and their distance in Å.
Atoms (fractional coordinates):
Mg: 0.3274 0.1712 0.5000  8 Mg 2.90-3.06, 2 V 3.05-3.10, 2 W 3.06-3.10
Mg: 0.8288 0.6726 0.5000  8 Mg 2.90-3.06, 2 V 3.05-3.10, 2 W 3.06-3.10
Mg: 0.1699 0.3430 0.0000  6 Mg 2.83-3.04, 2 W 2.99, 2 V 3.01
Mg: 0.6570 0.8301 0.0000  6 Mg 2.83-3.04, 2 W 2.99, 2 V 3.01
Mg: 0.6796 0.3204 0.0000  10 Mg 2.90-3.22, 2 V 2.95
Mg: 0.1809 0.8191 0.0000  8 Mg 2.89-3.06, 2 W 2.92
V: 0.8303 0.1697 0.5000  2 W 2.90, 10 Mg 2.95-3.10
W: 0.3261 0.6739 0.5000  2 V 2.90, 10 Mg 2.92-3.10

Output
- Excess energy over the best structure of this formula in the dataset: 83.4 meV/atom
- ΔH_f (0 K): 0.3891 eV per atom

***

Mg14VW: optimized geometry, GGA-PBE.

Cell: 6.2406 6.2406 9.9798 Å, 90.00 90.00 120.00°
Last column: nearest neighbours and their distance in Å.
Atoms (fractional coordinates):
Mg: 0.1690 0.8345 0.1250  10 Mg 3.09-3.14, 2 V 3.12
Mg: 0.1684 0.8342 0.6250  10 Mg 3.06-3.14, 2 W 3.12
Mg: 0.6655 0.3310 0.1250  10 Mg 3.09-3.14, 2 V 3.12
Mg: 0.6658 0.3316 0.6250  10 Mg 3.06-3.14, 2 W 3.12
Mg: 0.6655 0.8345 0.1250  10 Mg 3.09-3.14, 2 V 3.12
Mg: 0.6658 0.8342 0.6250  10 Mg 3.06-3.14, 2 W 3.12
Mg: 0.3261 0.1739 0.3794  10 Mg 2.98-3.26, 1 W 3.00, 1 V 3.07
Mg: 0.3261 0.1739 0.8706  10 Mg 2.98-3.26, 1 W 3.00, 1 V 3.07
Mg: 0.3261 0.6522 0.3794  10 Mg 2.98-3.26, 1 W 3.00, 1 V 3.07
Mg: 0.3261 0.6522 0.8706  10 Mg 2.98-3.26, 1 W 3.00, 1 V 3.07
Mg: 0.8478 0.1739 0.3794  10 Mg 2.98-3.26, 1 W 3.00, 1 V 3.07
Mg: 0.8478 0.1739 0.8706  10 Mg 2.98-3.26, 1 W 3.00, 1 V 3.07
Mg: 0.8333 0.6667 0.3751  12 Mg 3.08-3.12
Mg: 0.8333 0.6667 0.8749  12 Mg 3.08-3.12
V: 0.1667 0.3333 0.1250  12 Mg 3.07-3.12
W: 0.1667 0.3333 0.6250  12 Mg 3.00-3.12

Output
└──

I’d like to thank President Kenyatta and the Secretary General of the Organisation of African, Caribbean and Pacific States, Mr Chikoti, for this initiative. It brings us together at a pivotal time in our history.

We all know the damage COVID-19 is inflicting on our populations and our economies. We see it in those who have lost loved ones. And those who wonder how to put bread on the table for their families. For them, this is a moment of pain, fear, and incertitude.

But we must never be dragged down by pessimism or fatalism. This global outbreak reminds us how connected we are. That it can be a time to reinvest in what connects us –multilateralism, international cooperation, and collective action. It reminds us of our shared destinies.

The African, Caribbean and Pacific States are invested in this cooperation; today’s meeting is proof of that. There’s no clearer option for the European Union than to be by their side – to be by your side. Europe has a historic partnership with the ACP countries. We share a rich and diverse landscape of political, commercial and cultural exchanges. And a shared resolve to make sustainable development a reality for all.

The Cotonou Agreement, which connects us, is the only legally binding agreement that the EU and its Member States have ever concluded with so many countries. The bonds we share give us a special responsibility.

The EU is taking bold action to overcome coronavirus at home. But we will not turn our backs on our global responsibilities. Towards Africa, in particular. The partnership between the EU and African, Caribbean and Pacific States is a prime example of the vibrant multilateralism we want to promote. Our countries represent over half of the seats in the United Nations. When we band together, we can be the catalyst for change, in so many ways.

Take climate change. In 2015, we joined forces for the Paris Agreement. And we made a difference.

Today, we are facing another global threat in COVID-19. And once again, multilateralism will be our best line of defence. Solidarity must underpin this joint response. Not a solidarity based on a misplaced clear conscience. Not a solidarity of words. But a solidarity of action. Tangible and real. Both during the crisis, and tomorrow, as we forge a more caring society.

Dear friends,

First, we need to defeat the virus. So long as the virus is somewhere, we must act as if it’s everywhere.  From Brussels to Vanuatu, from Addis Ababa to Port-au-Prince.

We the European Union, with our Member States, and financial institutions are redirecting 25 billion euros of funding to support our partners. But we need to go further – I have a personal commitment to debt relief.

........
1.
VASP calculation (GGA-PBE) on a relaxed structure of DyAu6.

**Calculated volume**: 19.6 Å³ per atom
**Raw total energy**: -216.94 eV/cell

Cell: 10.5140 10.5140 9.9355 Å, 90.00 90.00 90.00°
Space group P4_2/ncm (No. 138, origin choice 2)
One atom of each set of equivalent atoms:
Dy: 0.0755 0.0755 0.2119
Au: 0.0000 0.0000 0.5000
Au: 0.0130 0.6799 0.5793
Au: 0.1228 0.7000 0.8551
Au: 0.1472 0.1472 0.6794
Au: 0.2500 0.2500 0.4324

=====

2.
VASP calculation (GGA-PBE) on a relaxed structure of Dy2InAu2.

**Calculated volume**: 23.8 Å³ per atom
**Raw total energy**: -45.19 eV/cell

Cell: 7.9800 7.9800 3.7377 Å, 90.00 90.00 90.00°
Space group P4/mbm (No. 127)
One atom of each set of equivalent atoms:
Dy: 0.1693 0.3307 0.0000
In: 0.0000 0.0000 0.5000
Au: 0.1287 0.6287 0.5000
........

We welcome the first steps taken in the G20.  These will give the most vulnerable countries breathing space and margin for manoeuvre. And we can do more, by involving major creditors in debt relief efforts. Global ambitions come with global responsibilities. I will continue to advocate tirelessly for such action in the G7, G20 and with other international partners.

Next we need to find ways to put the pandemic behind us. Vaccines, treatments and diagnostics are the only way to relegate the virus to the history books.

On this sensitive issue, we stand with you. The EU recently wrapped up a successful pledging conference, together with our international partners. 9.5 billion euros were raised to develop and distribute health solutions on a large scale, at an affordable price. Our vision is a vaccine that is accessible everywhere, for everyone. I join the call for ‘The People’s Vaccine’. Any future vaccine should be treated as a “global common good”. 

Finally, after COVID-19, we must rebuild. Recreating the post-COVID world will be an immense task. I feel a special responsibility to the young generation – the millions of young people who will live the results of our actions today. Let’s make sure they will benefit from our successes. As Nobel Laureate and former President of Liberia Ellen Johnson Sirleaf said: “Future generations will judge us not by what we say, but what we do”.

## What comes next are crystal structures, not part of the text
........
Computed, not measured: a relaxed structure of BaCaZr2O6 at the PBE level of DFT.

The energy relative to the elements comes out at -35.78 eV/f.u. Its energy above the most stable polymorph in this dataset is 0.376 eV/f.u. For the corrected total energy (MP2020 scheme), the calculation gives -172.97 eV per cell.

The structure belongs to space group Cmmm (No. 65); the cell edges are 8.267, 8.386 and 4.234 Å and the angles 90.00°, 90.00° and 90.00°. The inequivalent atoms are Ba at (0.000, 0.000, 0.000), Ca at (0.000, 0.500, 0.000), Zr at (0.250, 0.250, 0.500), O at (0.000, 0.205, 0.500), O at (0.193, 0.500, 0.500) and O at (0.250, 0.250, 0.000).

* * * * *

[1]
This record from the Materials Project describes a geometry-optimized ThP2O9 structure. The functional is PBE.

```
data_ThP2O9
_cell_length_a 7.9782
_cell_length_b 9.7177
_cell_length_c 20.2556
_cell_angle_alpha 90.00
_cell_angle_beta 90.00
_cell_angle_gamma 90.00
_space_group_name_H-M_alt 'P b c a'
_space_group_IT_number 61
_space_group_name_Hall '-P 2ac 2ab'
loop_
_atom_site_label
_atom_site_fract_x
_atom_site_fract_y
_atom_site_fract_z
_atom_site_occupancy
Th1 0.0029 0.1517 0.1277 1
P1 0.0751 0.5184 0.1949 1
P2 0.2493 0.5945 0.9694 1
O1 0.0461 0.1312 0.6763 1
O2 0.0483 0.5506 0.2669 1
O3 0.0893 0.0965 0.3481 1
O4 0.1267 0.0378 0.9173 1
O5 0.1286 0.0295 0.4875 1
O6 0.1508 0.7160 0.9411 1
O7 0.1589 0.1362 0.0329 1
O8 0.1860 0.1843 0.3142 1
O9 0.2286 0.5820 0.1634 1
```

Theoretical density: 3.70 g cm⁻³
E_form: -2.225 eV per atom

[2]
This record from the Materials Project describes a geometry-optimized ThP4O12 structure. The functional is PBE.

```
data_ThP4O12
_cell_length_a 11.5586
_cell_length_b 8.1403
_cell_length_c 12.7389
_cell_angle_alpha 90.00
_cell_angle_beta 95.70
_cell_angle_gamma 90.00
_space_group_name_H-M_alt 'C 1 2/c 1'
_space_group_IT_number 15
_space_group_name_Hall '-C 2yc'
loop_
_atom_site_label
_atom_site_fract_x
_atom_site_fract_y
_atom_site_fract_z
_atom_site_occupancy
Th1 0.0000 0.0204 0.2500 1
P1 0.1058 0.2327 0.5137 1
P2 0.2034 0.3336 0.8044 1
O1 0.0628 0.1765 0.4051 1
O2 0.0680 0.1331 0.6028 1
O3 0.1355 0.4851 0.8079 1
O4 0.1513 0.1662 0.8191 1
O5 0.1686 0.1669 0.2083 1
O6 0.1743 0.3844 0.5351 1
```

Theoretical density: 3.05 g cm⁻³
E_form: -2.646 eV per atom

[3]
This record from the Materials Project describes a geometry-optimized Th2P2O9 structure. The functional is PBE.

```
data_Th2P2O9
_cell_length_a 7.2664
_cell_length_b 9.2852
_cell_length_c 12.9990
_cell_angle_alpha 90.00
_cell_angle_beta 90.00
_cell_angle_gamma 90.00
_space_group_name_H-M_alt 'C m c e'
_space_group_IT_number 64
_space_group_name_Hall '-C 2ac 2'
loop_
_atom_site_label
_atom_site_fract_x
_atom_site_fract_y
........

The world after COVID-19 must not be a carbon copy of the one before. That’s neither possible nor desirable. We must show greater solidarity and more respect for the planet. And use digital technologies responsibly, for the good of humankind. It’s now up to us – the international community. Let’s make sure the scope of our action matches the scope of this pandemic.

Asante sana (Thank you.)